
There was a relatively strong earthquake in Campi Flegrei last night, initially assessed at 4.4 MMS, later revised to 4.2. Everything above 2 there is significant, as it indicates magma movements and possible ruptures. 4.2 is really serious, and adds serious weight to the Bayesian probability of explosive eruption in the near future. Whether the eruption will be phreatic or supervolcanic, it is impossible to say. A phreatic eruption is what happened at Krakatoa, when magma and sea water came into contact within the enclosed space of the half-emptied magma chamber. It is what a pressure cooker would do if the pressure inside exceeded the cohesive forces within the containment vessel. It means a big boom that cooks the people of the local village in superheated steam. That place needed to be evacuated weeks ago. However, other than boiling a few thousands of people alive, the phreatic eruption poses no danger to the wider area. A supervolcanic eruption, VEI 8, however, would end most of Europe. So, the danger of natural events regionally remains high.

As for the political and military events, Trump is performing a circus where America, as a party in conflict that attacked Russia and wanted to destroy it as a country and surround it with enemies and do a regime change in every country that believes in two genders, is now roleplaying as a peace maker of some sorts, as if they’re a school teacher forcing some kids to make up or else. The Russians will politely tell him to piss off, to which he’ll do the typical Trump thing and threaten them with a big stick, forgetting that the Russians have already destroyed more than half of US and European military in Ukraine, and that American “mercenaries” have been killing Russians in Kursk, Russia, for months. This has all the potential of ending badly, because the Russians have already told Putin not to even think about any kind of “truce” or “ceasefire”. I see people behaving as this war is about to end, but on the contrary, I think it’s nearing the most explosive phase, where one bad miscalculation by America will result in instant massive retaliation. I am treating this as “all hell is about to break loose” until proven otherwise.

If you ask why is France so pissed at Russia, it’s because the entire West had a plan of blocking Russia, and intending on compensating for the raw materials they were getting from Russia by turning to Africa, and the Russians understood the plan and completely destroyed it by making deals with African countries that resulted in France and other former colonial powers being unceremoniously evicted and their access to near-free resources ended. As a result, France’s access to low-cost uranium for their power plants and military has been compromised and they are strategically fucked.

Trump, on the other hand, is acting as if America is the big boy in charge, but this is all a bluff. America is bankrupt, their military is defunct and depleted, and other than the decrepit nuclear weapons that are way past their expiration date, they have nothing except the printing press for money, which is currently backed by nothing but brute force. Essentially, the entire West is a starving parasite trying to latch itself onto resources to prolong its doomed existence, and in absence of the usual victims, the vampires are now trying to suck off each other, and it’s going to be a nasty sight.

So yeah, far from it being over; we haven’t actually seen anything but overture yet.

Childish governments

Campi Flegrei supervolcano is still acting up, and for multiple days already there are reports of elevated CO2 levels in people’s homes at the volcanic site; basically, people are reporting dizziness and nausea at the Pozzuoli village. The government, however, is sweeping the whole thing under the rug and basically telling people that nothing is going on, but do install CO2 meters because we wouldn’t want you to suffocate.

This reminds me of the covid situation, where the governments initially under-reacted and said nothing’s going on, everything is fully contained, even if this obviously wasn’t true, and when it became obvious that some serious shit is going on, they over-reacted to the point of breaking the civilization. Basically, first they didn’t want to face the crisis and be responsible for saying that it’s real, and later nobody wanted to be responsible for ending it and saying that it needs to be handled rationally and not hysterically. Basically, they act in binary modes, where there’s either no problem whatsoever, or every life matters so much that if we can save it, it’s worth breaking the civilization and potentially killing hundreds of millions and reducing the standard of life for billions in decades to come. It’s worse than manic-depressive even; it’s like putting female school teachers in charge.

The covid is not the first instance of such foolish under/overreaction; there was the case of the Icelandic volcano, the Eyjafjallajokull, where they completely grounded all air traffic in Europe because of negligible risk of trace amounts of volcanic ash in the air to the jet engines. Abundance of caution, they call it. No, abundance of caution would be if any actual planes were damaged by the ash, and then you try to establish safe levels of ash particles in the air, monitor the condition and ground air traffic only where it’s actually necessary. Not ground everything until everything is perfectly safe, because absolutely any amount of risk is unacceptable. Well tough shit, bitches, because risk is part of life and there’s always an amount that has to be deemed acceptable or you’ll end up failing to live it at all.

**Someone pasted records of crystals at this point:**
Record 1
Material: Zr2Cu3Sb
Method: DFT, GGA-PBE
State: optimized geometry

Properties
- Space-group type: P4/mmm, No. 123

POSCAR file:
```
Zr2Cu3Sb
1.0
2.795 0.000 0.000
0.000 2.795 0.000
0.000 0.000 16.112
Cu Zr Sb
3 2 1
direct
0.500 0.500 0.335 Cu
0.500 0.500 0.665 Cu
0.500 0.500 0.000 Cu
0.500 0.500 0.828 Zr
0.500 0.500 0.172 Zr
0.500 0.500 0.500 Sb
```

=====

Record 2
Material: NaMg14Nb
Method: DFT, GGA-PBE
State: optimized geometry

Properties
- Space-group type: Amm2, No. 38
- Energy relative to the lowest polymorph listed for this composition: 22.6 meV per atom

POSCAR file:
```
NaMg14Nb
1.0
-0.499 0.994 -6.286
3.231 -5.168 2.302
-8.553 -5.428 -0.179
Mg Na Nb
14 1 1
direct
0.167 0.834 0.625 Mg
0.328 0.674 0.371 Mg
0.829 0.164 0.377 Mg
0.829 0.164 0.873 Mg
0.328 0.674 0.879 Mg
0.328 0.154 0.371 Mg
0.667 0.832 0.625 Mg
0.328 0.154 0.879 Mg
0.169 0.334 0.625 Mg
0.664 0.336 0.125 Mg
0.664 0.828 0.125 Mg
0.667 0.335 0.625 Mg
0.843 0.672 0.881 Mg
0.843 0.672 0.369 Mg
0.168 0.334 0.125 Na
0.177 0.838 0.125 Nb
```

=====

Record 3
Material: Ca2ScNbO6
Method: DFT, GGA-PBE
State: optimized geometry

Properties
- Space-group type: P2_1/c, No. 14

POSCAR file:
```
Ca2ScNbO6
1.0
-0.582 5.427 -1.735
-4.321 0.624 3.403
0.576 3.000 9.191
Sc Ca O Nb
2 4 12 2
direct
0.500 0.000 0.500 Sc
0.000 0.000 0.000 Sc
0.447 0.236 0.751 Ca
0.053 0.236 0.251 Ca
0.553 0.764 0.249 Ca
0.947 0.764 0.749 Ca
0.209 0.749 0.946 O
0.291 0.749 0.446 O
0.303 0.156 0.051 O
0.697 0.844 0.949 O
0.533 0.644 0.756 O
0.803 0.844 0.449 O
0.197 0.156 0.551 O
0.967 0.644 0.256 O
0.033 0.356 0.744 O
0.791 0.251 0.054 O
0.467 0.356 0.244 O
0.709 0.251 0.554 O
0.500 0.500 0.000 Nb
0.000 0.500 0.500 Nb
```

=====

Record 4
Material: ZnCu2SiTe4
Method: DFT, GGA-PBE
State: optimized geometry

Properties
- Space-group type: I-42m, No. 121

POSCAR file:
```
ZnCu2SiTe4
1.0
-3.015 3.015 6.009
3.015 -3.015 6.009
3.015 3.015 -6.009
Si Te Zn Cu
1 4 1 2
direct
0.500 0.500 0.000 Si
0.612 0.612 0.484 Te
0.388 0.872 0.000 Te
0.128 0.128 0.516 Te
0.872 0.388 0.000 Te
0.000 0.000 0.000 Zn
0.250 0.750 0.500 Cu
0.750 0.250 0.500 Cu
```

=====

Record 5
Material: Y3Mg
Method: DFT, GGA-PBE
State: optimized geometry

Properties
- Space-group type: P6_3/mmc, No. 194

POSCAR file:
```
Y3Mg
1.0
-6.104 -0.846 3.399
0.356 -1.155 -6.933
1.283 -5.387 0.963
Mg Y
2 6
direct
0.667 0.333 0.750 Mg
0.333 0.667 0.250 Mg
0.830 0.170 0.250 Y
0.830 0.660 0.250 Y
0.170 0.340 0.750 Y
0.170 0.830 0.750 Y
0.340 0.170 0.250 Y
0.660 0.830 0.750 Y
```

=====

Record 6
Material: TaCoTe2
Method: DFT, GGA-PBE
State: optimized geometry

Properties
- Space-group type: P2_1/c, No. 14

POSCAR file:
```
TaCoTe2
1.0
-0.057 6.044 1.916
1.382 -2.305 7.312
8.274 -0.568 2.037
Te Co Ta
8 4 4
direct
0.749 0.099 0.800 Te
0.251 0.901 0.200 Te
0.751 0.599 0.800 Te
0.249 0.401 0.200 Te
0.757 0.140 0.280 Te
0.257 0.360 0.720 Te
0.743 0.640 0.280 Te
0.243 0.860 0.720 Te
0.850 0.943 0.600 Co
0.350 0.557 0.400 Co
0.150 0.057 0.400 Co
0.650 0.443 0.600 Co

With the Campi Flegrei and Santorini volcanoes currently acting up, the obvious rational measure would be to evacuate the afflicted areas completely, but the politicians are cowards who fear saying the “v” word (volcano) or “e” word (eruption), because they don’t want to be responsible for either panic, or frustration of people who had to evacuate if it turns out to be a false alarm. However, an adult response would be to tell people to suck it up – sure, it can turn out to be nothing, but even a small event will cause large local casualties because people for some reason like to live on volcanoes. You can’t assume it’s going to be a big one, because the probabilities and historic record are against it, and if it is the big one you can’t do anything about it that wouldn’t be almost as harmful as the eruption itself. You can, however, clear the Pozzuoli village and the Santorini island, and make tsunami preparations and drills on the projected impact areas in Greece. That would be the reasonable level of reaction, but no, the governments alternate between “nothing’s going to happen, everything is fine” and “the sky is falling, let’s make everything ten times worse now”.

Not good

The global astral feels like a lunatic asylum; there’s a palimpsest of all kinds of issues and feedback loops, for instance the state of the global astral makes all kinds of people crazy/evil/violent more than usual, and when they act on it they make the global astral worse, and so on. I think the Internet made everything worse, and the social networks magnified the problem by an order of magnitude, because everybody tends to get synced up with the same bullshit. It’s like having Dropbox on five computers, and when a file is corrupted on one, it propagates across all devices.

Additionally, the news sources are all corrupted by either financial inputs from ideologically interested parties, intelligence services, and educational system which feeds neomarxist activists into guess what – places where they feel they can “change the world”, such as NGOs, news and politics. After a few decades of feedback loops of this kind, the public sphere has been completely contaminated by neomarxist ideologies.

Science has also been corrupted by a combination of ideologically motivated financial feedback loops, big corporations that treat science as a paid machine for product PR, leftist ideologues who treat science as some kind of a Church that provides official dogma rather than a method of inquiry, and so on. Also, after enough feedback cycles, everything from measurements to conclusions has been corrupted, and at this point it should all be thrown away and started anew, because none of it is trustworthy anymore.

The level of degradation across multiple dimensions of the system is so severe, that I can’t imagine it being fixed. This is a total civilizational breakdown. People forgot why the world they live in works, and thus undermined its foundations. After sufficient iterations, we now have a situation that’s basically on a free fall trajectory. People like Trump who are trying to fix it are in fact only exacerbating the problem, by destroying all kinds of layers of deception and lies that were introduced by other groups in attempt to hold the thing together.



One could rightfully ask why the hell am I buying almost 6000 € of photographic equipment, on top of 2000 € of stuff I’ve already bought recently, if I expect serious disasters that will end the world as we know it.

One could ask with equal right why I’m mowing my lawn, or brushing my teeth, or servicing the car. It all assumes the kind of continuity I don’t, in fact, believe in. However, I don’t know the timing, which means I have to behave as if the things are going to outlive me, and on the other hand be ready to leave today if God calls. This means that I function in a way that is both detached, and involved. I’m performing all kinds of duties on a daily basis, and yet I’m ready to leave every single second.

The reason why I ordered the equipment is actually detached from any expectation to use it; I merely decided to pay respect to my photographic art and skill. It is more of a sacrificial offering than anything else, because in this world one needs to support things that he sees as valuable, because what you don’t support dies of neglect by default. So, it’s a matter of philosophical consistency, rather than some investment in the future or what not. No; rather, it’s a respect to what is and was. Biljana got new stuff for the same reason. It is important to pay respect to that which is good and valuable, the same way it’s important to keep uprooting the weeds.


There has been an increase of seismic and volcanic activity around the world, including recent precursors that usually indicate strong earthquakes; magnitude of 8 on the momentum magnitude tensor scale in the Mediterranean basin is realistic within days. Prepare accordingly.

Also, the earthquake swarm near the Santorini volcano is increasing in magnitude, and something appears to be imminent.

There is a correlation between this increased seismicity and volcanism and the current solar maximum, but the correlation might not necessarily mean causation – for instance, both might have the common cause in the major planetary conjunction that’s going on, meaning that the same tidal force is squeezing the Sun, causing increasing activity, and the Earth, causing increasing tidal forces in the magma, resulting in increasing seismic and volcanic activity. There might, however, be a different explanation, where the planetary conjunction causes increased activity in the Sun, and some type of neutrino is increasingly produced, that causes some minor increase in the radioactive decay, which actually causes the interior of the Earth to remain molten, and even a minor increase can cause major events on the human scale of things. In any case, the whole thing is poorly explored.

In any case, I would avoid travel and have supplies sufficient for two weeks of autonomy in the entire mediterranean basin, just as a precaution. The recommended minimum of 3 days of food and water is probably sufficient if you’re not really close to the areas most likely to be afflicted – Greece, Turkey, Italy, and so on. I would treat this as a serious enough threat to act on it. Also, it’s not a distant threat, since electromagnetic precursors of strong earthquakes, usually indicating a big one within 96 hours, were detected 2-3 days ago.